Ghost (Boston Underworld #3) - A. Zavarelli Page 0,74

late that Sasha is walking in my direction.

I shut the door and sit on the bed, hoping she didn’t see me. But I know she did.

And it isn’t a minute later that the door creaks open.

Her eyes go wide when she sees me. And all of my defenses go up, preparing for battle.


I don’t reply. My mouth is dry and I’m dizzy. I feel like she can see all of the wrong and bad parts of me. All of the things that happened while I was gone. And I understand now why I felt safe with Alexei from the beginning. Because he didn’t know me before.

But Sasha did. And she can see that I’m not the same. That I’m broken and damaged and… wrong.

“Do you remember me?” she asks.

My heart is beating too fast. Too loud. My palms are clammy. And the memories are swirling around in my brain. My last days at the club. How I was so happy when Dmitri came to see me. How excited I was for our time in Mexico.

I don’t want to remember. And she is bringing it all back. This girl who used to know me.

“Of course I remember you,” I snap. “I’m not brain dead.”

“Everyone thinks you’re dead,” she says. “You do know that, right?”

I want to tell her I am dead. That as far as anyone who knew me in my old life goes, I no longer exist. But I don’t. I can’t get the words out. I can’t stop thinking about Mack. Because I know she’s thinking about her too. I can see it in her eyes. It’s ripping me apart. I want to ask her so many things. I want to ask if Mack is really happy. If she hates me. But I don’t.

I shrug. That’s it. That’s all I’ve got.

“Do you realize what this has done to Mack?” she asks me. “She’s been sick over this whole situation for months. Do you have any idea what she went through to try to get you back?”

The guilt weighs heavy on me. But it’s too soon. I can’t deal with this now. I’m not ready to face that part of my life again.

The piece is interrupted by crystal structures >
<<<
# TiNbGa2W | Alexandria via LeMat-Bulk | GGA-PBE | relaxed
data_TiNbGa2W
_chemical_formula_sum 'Ti1 Nb1 Ga2 W1'
_cell_length_a 4.829
_cell_length_b 4.829
_cell_length_c 4.802
_cell_angle_alpha 90.00
_cell_angle_beta 90.00
_cell_angle_gamma 90.00
_symmetry_space_group_name_H-M 'P 4/m m m'
_symmetry_Int_Tables_number 123
_symmetry_space_group_name_Hall '-P 4 2'
loop_
_atom_site_label
_atom_site_type_symbol
_atom_site_fract_x
_atom_site_fract_y
_atom_site_fract_z
_atom_site_occupancy
Ti1 Ti 0.000 0.000 0.000 1
Nb1 Nb 0.500 0.500 0.000 1
Ga1 Ga 0.000 0.500 0.500 1
W1 W 0.500 0.500 0.500 1
# - spin magnetization (μB per cell) = 0.94
# - E_tot (eV/atom) = -6.40

# YMnV | Alexandria via LeMat-Bulk | GGA-PBE | relaxed
data_YMnV
_chemical_formula_sum 'Y4 Mn4 V4'
_cell_length_a 3.526
_cell_length_b 15.658
_cell_length_c 4.202
_cell_angle_alpha 90.00
_cell_angle_beta 90.00
_cell_angle_gamma 90.00
_symmetry_space_group_name_H-M 'C m c m'
_symmetry_Int_Tables_number 63
_symmetry_space_group_name_Hall '-C 2c 2'
loop_
_atom_site_label
_atom_site_type_symbol
_atom_site_fract_x
_atom_site_fract_y
_atom_site_fract_z
_atom_site_occupancy
Y1 Y 0.000 0.088 0.250 1
Mn1 Mn 0.000 0.340 0.250 1
V1 V 0.000 0.252 0.750 1
# - spin magnetization (μB per cell) = 0.00
# - E_tot (eV/atom) = -8.11

# Rb2GePbSe4 | Alexandria via LeMat-Bulk | GGA-PBE | relaxed
data_Rb2GePbSe4
_chemical_formula_sum 'Rb16 Ge8 Pb8 Se32'
_cell_length_a 6.880
_cell_length_b 14.398
_cell_length_c 25.793
_cell_angle_alpha 90.00
_cell_angle_beta 90.00
_cell_angle_gamma 90.00
_symmetry_space_group_name_H-M 'F d d d'
_symmetry_Int_Tables_number 70
loop_
_symmetry_equiv_pos_as_xyz
'x,y,z'
'-x,-y,-z'
'-x+1/4,-y+1/4,z'
'x+1/4,y+1/4,-z'
'x,-y+1/4,-z+1/4'
'-x,y+1/4,z+1/4'
'-x+1/4,y,-z+1/4'
'x+1/4,-y,z+1/4'
'x,y+1/2,z+1/2'
'-x,-y+1/2,-z+1/2'
'-x+1/4,-y+3/4,z+1/2'
'x+1/4,y+3/4,-z+1/2'
'x,-y+3/4,-z+3/4'
'-x,y+3/4,z+3/4'
'-x+1/4,y+1/2,-z+3/4'
'x+1/4,-y+1/2,z+3/4'
'x+1/2,y,z+1/2'
'-x+1/2,-y,-z+1/2'
'-x+3/4,-y+1/4,z+1/2'
'x+3/4,y+1/4,-z+1/2'
'x+1/2,-y+1/4,-z+3/4'
'-x+1/2,y+1/4,z+3/4'
'-x+3/4,y,-z+3/4'
'x+3/4,-y,z+3/4'
'x+1/2,y+1/2,z'
'-x+1/2,-y+1/2,-z'
'-x+3/4,-y+3/4,z'
'x+3/4,y+3/4,-z'
'x+1/2,-y+3/4,-z+1/4'
'-x+1/2,y+3/4,z+1/4'
'-x+3/4,y+1/2,-z+1/4'
'x+3/4,-y+1/2,z+1/4'
loop_
_atom_site_label
_atom_site_type_symbol
_atom_site_fract_x
_atom_site_fract_y
_atom_site_fract_z
_atom_site_occupancy
Rb1 Rb 0.125 0.125 0.312 1
Ge1 Ge 0.125 0.125 0.625 1
Pb1 Pb 0.125 0.125 0.125 1
Se1 Se 0.065 0.273 0.821 1
# - spin magnetization (μB per cell) = 0.00
# - energy relative to the elements, uncorrected (eV/f.u.) = -5.44
# - E_tot (eV/atom) = -3.71

# Nb14FeOs | Alexandria via LeMat-Bulk | GGA-PBE | relaxed
data_Nb14FeOs
_chemical_formula_sum 'Nb14 Fe1 Os1'
_cell_length_a 6.519
_cell_length_b 6.519
_cell_length_c 6.583
_cell_angle_alpha 90.00
_cell_angle_beta 90.00
_cell_angle_gamma 90.00
_symmetry_space_group_name_H-M 'P 4/m m m'
_symmetry_Int_Tables_number 123
_symmetry_space_group_name_Hall '-P 4 2'
loop_
_atom_site_label
>>>
The piece goes on >

“I don’t want to go back there.”

“Okay…” She sighs. “But can’t you call her? Let her know you’re alright?”

“She won’t understand,” I try to explain. “Mack has never understood. She’ll want the girl back that she lost. But I’m not her anymore. I’ll never be her again.”

“So you’re just going to let her think you’re dead?” she demands. “She was your best friend.”

She was. And I care for her. I know my actions don’t show it. That Sasha can’t understand it. But how can I explain it when I don’t understand it myself?

Between two parts of the text: data records:
____________
# ScCoPt2

A relaxed structure of ScCoPt2 (PBE, Alexandria).

Geometry as CIF:
```
data_ScCoPt2
_chemical_formula_sum 'Sc3 Co3 Pt6'
_symmetry_space_group_name_H-M 'R -3 m'
_symmetry_Int_Tables_number 166
_symmetry_space_group_name_Hall '-R 3 2"'
_cell_length_a 2.8745
_cell_length_b 2.8745
_cell_length_c 26.2689
_cell_angle_alpha 90.00
_cell_angle_beta 90.00
_cell_angle_gamma 120.00
loop_
_atom_site_label
_atom_site_type_symbol
_atom_site_fract_x
_atom_site_fract_y
_atom_site_fract_z
Sc1 Sc 0.0000 0.0000 0.0000
Co1 Co 0.0000 0.0000 0.5000
Pt1 Pt 0.0000 0.0000 0.2467
```

Results
**ΔH_f (0 K)**: -26 kJ/mol of atoms
**V**: 188 Å³ per cell
**Total magnetization**: 0.54 μB/atom

---

# ScCoPt2

A relaxed structure of ScCoPt2 (PBE, Alexandria).

Geometry as CIF:
```
data_ScCoPt2
_chemical_formula_sum 'Sc2 Co2 Pt4'
_symmetry_space_group_name_H-M 'C m m m'
_symmetry_Int_Tables_number 65
_symmetry_space_group_name_Hall '-C 2 2'
_cell_length_a 5.6032
_cell_length_b 7.4474
_cell_length_c 2.9526
_cell_angle_alpha 90.00
_cell_angle_beta 90.00
_cell_angle_gamma 90.00
loop_
_atom_site_label
_atom_site_type_symbol
_atom_site_fract_x
_atom_site_fract_y
_atom_site_fract_z
Sc1 Sc 0.0000 0.0000 0.0000
Co1 Co 0.0000 0.5000 0.0000
Pt1 Pt 0.2500 0.2500 0.5000
```

Results
**ΔH_f (0 K)**: -59 kJ/mol of atoms
**V**: 123 Å³ per cell
**Total magnetization**: 0.42 μB/atom

---

# Sc2CoPt2

A relaxed structure of Sc2CoPt2 (PBE, Alexandria).

Geometry as CIF:
```
data_Sc2CoPt2
_chemical_formula_sum 'Sc4 Co2 Pt4'
_symmetry_space_group_name_H-M 'P 4/m b m'
_symmetry_Int_Tables_number 127
_symmetry_space_group_name_Hall '-P 4 2ab'
_cell_length_a 7.0108
_cell_length_b 7.0108
_cell_length_c 3.6257
_cell_angle_alpha 90.00
_cell_angle_beta 90.00
_cell_angle_gamma 90.00
loop_
_atom_site_label
_atom_site_type_symbol
_atom_site_fract_x
_atom_site_fract_y
_atom_site_fract_z
Sc1 Sc 0.1679 0.3321 0.0000
Co1 Co 0.0000 0.0000 0.5000
Pt1 Pt 0.1388 0.6388 0.5000
```

Results
**ΔH_f (0 K)**: -70 kJ/mol of atoms
**V**: 178 Å³ per cell
**Total magnetization**: 0.29 μB/atom
**Excess energy over the best structure of this formula in the dataset**: 0 meV/atom

---

# ScCo2Pt2

A relaxed structure of ScCo2Pt2 (PBE, Alexandria).

Geometry as CIF:
```
data_ScCo2Pt2
_chemical_formula_sum 'Sc2 Co4 Pt4'
_symmetry_space_group_name_H-M 'I 4/m m m'
_symmetry_Int_Tables_number 139
_symmetry_space_group_name_Hall '-I 4 2'
_cell_length_a 3.4656
_cell_length_b 3.4656
_cell_length_c 13.1107
_cell_angle_alpha 90.00
_cell_angle_beta 90.00
_cell_angle_gamma 90.00
loop_
_atom_site_label
_atom_site_type_symbol
_atom_site_fract_x
_atom_site_fract_y
_atom_site_fract_z
Sc1 Sc 0.0000 0.0000 0.0000
Co1 Co 0.0000 0.5000 0.2500
Pt1 Pt 0.0000 0.0000 0.3970
```

Results
**ΔH_f (0 K)**: -38 kJ/mol of atoms
**V**: 157 Å³ per cell
**Total magnetization**: 0.70 μB/atom
**Excess energy over the best structure of this formula in the dataset**: 0 meV/atom

----------

Record 1
Compound: MnHgTe4
Source: Alexandria via LeMat-Bulk
____________

“I’m going to tell her,” she says. “She’s my friend too. And I can’t let her go on thinking that you’re dead when you’re not. It isn’t right.”

“Do what you have to,” is my reply.

Sasha edges back towards the door, and I breathe a little at seeing her retreat. At seeing my past ebb away and preserving my safe little bubble where the present cannot collide with it.

“Are you okay here?” she asks. “Are you safe?”

“Yes. Alexei is very good to me. I don’t want to leave him.”

“Okay,” she says. “Would you like my number though? Just in case?”

I shake my head.

And she walks out the door.



Ronan is patched up and officially on the mend.

He’s going to be alright, the doctor tells us. She is on the Vory payroll, and her services are available only to us. Which means late hours and sometimes odd locations. But she is one of the best.

Those services don’t usually extend to our Irish alliance as well. Especially not the man who took it upon himself to shoot at Franco and I in the not too distant past.

He is still slightly delirious as the drugs wear off, but he has the coherence to say what he needs to.

“Thank you,” he tells me. “I know I do not deserve such a kindness from ye.”

“You can thank your girlfriend,” is my reply.

I never could stand to see a woman cry. His woman loves him deeply. And it earns him a little of the respect that he lost from me. But nothing in this life comes for free, and both Ronan and I are aware of this.

“I’ll need you to do something for me, once you’ve healed.”

== Unrelated to this page: crystal structures ==
/*
[1]
A geometry-optimized PrTmCu2As4 structure. Source: the Open Quantum Materials Database, functional GGA-PBE.

As for the calculated total energy: -5.22 eV/atom.

The space group is P4mm (No. 99) and the conventional cell measures 3.947, 3.947 and 9.996 Å, with angles of 90.00, 90.00 and 90.00 degrees. Symmetry generates all atoms from Pr at (0.000, 0.000, 0.000), Tm at (0.500, 0.500, 0.475), Cu at (0.000, 0.500, 0.728), As at (0.000, 0.000, 0.571), As at (0.000, 0.500, 0.246) and As at (0.500, 0.500, 0.883).

---

[2]
A geometry-optimized PrZrCu2As4 structure. Source: the Open Quantum Materials Database, functional GGA-PBE.

As for the calculated total energy: -5.64 eV/atom.

The space group is P4mm (No. 99) and the conventional cell measures 3.920, 3.920 and 9.864 Å, with angles of 90.00, 90.00 and 90.00 degrees. Symmetry generates all atoms from Pr at (0.000, 0.000, 0.000), Zr at (0.500, 0.500, 0.461), Cu at (0.000, 0.500, 0.719), As at (0.000, 0.000, 0.555), As at (0.000, 0.500, 0.250) and As at (0.500, 0.500, 0.879).

---

[3]
A geometry-optimized CuReAsPt structure. Source: the Open Quantum Materials Database, functional GGA-PBE.

The offset from the most stable computed form comes out at 0.000 eV/atom. As for the calculated total energy: -6.48 eV/atom.

The space group is F-43m (No. 216) and the conventional cell measures 6.176, 6.176 and 6.176 Å, with angles of 90.00, 90.00 and 90.00 degrees. Symmetry generates all atoms from Cu at (0.000, 0.000, 0.000), Re at (0.000, 0.000, 0.500), As at (0.250, 0.250, 0.750) and Pt at (0.250, 0.250, 0.250).

---

[4]
A geometry-optimized ScCuAsPt structure. Source: the Open Quantum Materials Database, functional GGA-PBE.

The offset from the most stable computed form comes out at 0.040 eV/atom. As for the calculated total energy: -5.71 eV/atom.

The space group is F-43m (No. 216) and the conventional cell measures 6.392, 6.392 and 6.392 Å, with angles of 90.00, 90.00 and 90.00 degrees. Symmetry generates all atoms from Sc at (0.000, 0.000, 0.000), Cu at (0.250, 0.250, 0.750), As at (0.000, 0.000, 0.500) and Pt at (0.250, 0.250, 0.250).

---

[5]
A geometry-optimized ScCuAsPt structure. Source: the Open Quantum Materials Database, functional GGA-PBE.

The offset from the most stable computed form comes out at 0.000 eV/atom. As for the calculated total energy: -5.75 eV/atom.

The space group is F-43m (No. 216) and the conventional cell measures 6.399, 6.399 and 6.399 Å, with angles of 90.00, 90.00 and 90.00 degrees. Symmetry generates all atoms from Sc at (0.000, 0.000, 0.000), Cu at (0.000, 0.000, 0.500), As at (0.250, 0.250, 0.250) and Pt at (0.250, 0.250, 0.750).

---

[6]
A geometry-optimized SrCuAsPt structure. Source: the Open Quantum Materials Database, functional GGA-PBE.

The offset from the most stable computed form comes out at 0.157 eV/atom. As for the calculated total energy: -4.11 eV/atom.
*/

“What do ye need?”

I turn to Franco and speak to him in Russian, asking him to retrieve the Copyright 2016 - 2024